Data =
____________
No. 1
10
Lattice="2.820 0.000 0.000 0.000 2.820 0.000 0.000 0.000 9.362" Properties=species:S:1:pos:R:3 comment="PBE CdH2O2, relaxed" final_energy_ev_per_atom=-3.6008 e_above_lowest_polymorph_ev_per_atom=0.965 total_magnetization_mub_per_fu=0.00 pbc="T T T"
Cd 0.000 0.000 0.000
Cd 1.410 1.410 4.681
H 0.000 1.410 2.341
H 0.000 1.410 7.022
H 1.410 0.000 2.341
H 1.410 0.000 7.022
O 0.000 0.000 3.201
O 0.000 0.000 6.162
O 1.410 1.410 1.481
O 1.410 1.410 7.882

No. 2
11
Lattice="-3.126 3.126 3.126 3.126 -3.126 3.126 3.126 3.126 -3.126" Properties=species:S:1:pos:R:3 comment="PBE Cd3H4O4, relaxed" final_energy_ev_per_atom=-3.9316 total_magnetization_mub_per_fu=0.00 pbc="T T T"
Cd 3.126 0.000 0.000
Cd 0.000 3.126 0.000
Cd 0.000 0.000 3.126
H 1.373 1.373 -1.373
H 1.373 -1.373 1.373
H -1.373 1.373 1.373
H 1.753 1.753 1.753
O 1.940 1.940 -1.940
O 1.940 -1.940 1.940
O 1.186 1.186 1.186
O -1.940 1.940 1.940

No. 3
14
Lattice="8.667 0.000 0.000 0.000 8.667 0.000 0.000 0.000 4.197" Properties=species:S:1:pos:R:3 comment="PBE CdH4O2, relaxed" final_energy_ev_per_atom=-4.1100 total_magnetization_mub_per_fu=0.00 pbc="T T T"
Cd 0.000 0.000 0.000
Cd 4.334 4.334 2.099
H 1.462 2.537 0.000
H 1.797 5.795 2.099
H 2.537 1.462 0.000
H 2.872 6.870 2.099
H 5.795 1.797 2.099
H 6.130 7.205 0.000
H 6.870 2.872 2.099
H 7.205 6.130 0.000
O 1.901 6.767 2.099
O 2.433 2.433 0.000
O 6.234 6.234 0.000
O 6.767 1.901 2.099

No. 4
8
Lattice="0.000 3.322 3.322 3.322 0.000 3.322 3.322 3.322 0.000" Properties=species:S:1:pos:R:3 comment="PBE CdH2O, relaxed" final_energy_ev_per_atom=-3.1715 e_above_lowest_polymorph_ev_per_atom=0.000 total_magnetization_mub_per_fu=0.00 pbc="T T T"
Cd 0.831 0.831 0.831
Cd 5.814 5.814 5.814
H 3.322 1.661 1.661
H 1.661 3.322 1.661
H 1.661 1.661 3.322
H 3.322 3.322 3.322
O 2.492 2.492 2.492
O 4.153 4.153 4.153

No. 5
16
Lattice="4.152 0.000 0.000 0.000 4.152 0.000 0.000 0.000 9.160" Properties=species:S:1:pos:R:3 comment="PBE CdHO2, relaxed" final_energy_ev_per_atom=-3.5964 e_above_lowest_polymorph_ev_per_atom=0.635 total_magnetization_mub_per_fu=0.00 pbc="T T T"
Cd 0.000 0.000 0.000
Cd 0.000 2.076 2.290
Cd 2.076 0.000 6.870
Cd 2.076 2.076 4.580
H 0.000 0.000 4.580
H 0.000 2.076 6.870
H 2.076 0.000 2.290
H 2.076 2.076 0.000
O 0.404 1.038 5.725
O 1.038 2.480 8.015
O 1.038 3.748 3.435
O 1.672 1.038 1.145
O 2.480 3.114 1.145
O 3.114 0.404 3.435
O 3.114 1.672 8.015
O 3.748 3.114 5.725

No. 6
12
Lattice="4.364 0.000 0.000 0.000 10.094 0.000 0.000 0.000 3.627" Properties=species:S:1:pos:R:3 comment="PBE CdHO, relaxed" final_energy_ev_per_atom=-3.8547 e_above_lowest_polymorph_ev_per_atom=0.057 total_magnetization_mub_per_fu=0.00 pbc="T T T"
Cd 0.000 1.145 0.000
Cd 0.000 8.949 1.814
Cd 2.182 3.902 1.814
Cd 2.182 6.191 0.000
H 0.000 3.812 0.223
H 0.000 6.281 2.037
H 2.182 1.235 2.037
H 2.182 8.859 0.223
O 0.000 3.207 0.993
O 0.000 6.887 2.806
O 2.182 1.840 2.806
O 2.182 8.254 0.993

Number 1: N(E_F) 0.009 states/eV/atom, theoretical density 6.53 Mg/m³. Number 2: N(E_F) 0.221 states/eV/atom, theoretical density 5.51 Mg/m³. Number 3: N(E_F) 0.000 states/eV/atom, theoretical density 1.56 Mg/m³. Number 4: N(E_F) 0.210 states/eV/atom, theoretical density 5.91 Mg/m³. Number 5: N(E_F) 0.352 states/eV/atom, theoretical density 6.12 Mg/m³. Number 6: N(E_F) 0.126 states/eV/atom, theoretical density 5.38 Mg/m³.

=====

# RbUWO6

A relaxed structure of RbUWO6 (PBE+U, the Alexandria database).

Cell lengths 7.517, 7.834, 7.705 Å; angles 120.56, 119.20, 90.00 degrees
Site moments in Bohr magnetons follow the coordinates.
Positions (direct):
O: 0.167 0.944 0.742  -0.02
O: 0.574 0.298 0.742  -0.02
O: 0.576 0.326 0.152  -0.04
O: 0.833 0.056 0.258  -0.02
O: 0.426 0.056 0.258  -0.02
Rb: 0.125 0.375 0.249  0.00
O: 0.167 0.298 0.742  -0.02
O: 0.833 0.702 0.258  -0.02
O: 0.424 0.674 0.848  -0.04
U: 0.500 0.500 0.000  1.01
W: 0.500 0.000 0.500  0.06
O: 0.426 0.702 0.258  -0.02
U: 0.500 0.000 0.000  1.01
O: 0.202 0.952 0.404  -0.01
Rb: 0.875 0.625 0.751  0.00
____________

Brief =
It remains to print only the last part of the block further above, starting with the line that has "2.820 0.000".

Solution =
Lattice="2.820 0.000 0.000 0.000 2.820 0.000 0.000 0.000 9.362" Properties=species:S:1:pos:R:3 comment="PBE CdH2O2, relaxed" final_energy_ev_per_atom=-3.6008 e_above_lowest_polymorph_ev_per_atom=0.965 total_magnetization_mub_per_fu=0.00 pbc="T T T"
Cd 0.000 0.000 0.000
Cd 1.410 1.410 4.681
H 0.000 1.410 2.341
H 0.000 1.410 7.022
H 1.410 0.000 2.341
H 1.410 0.000 7.022
O 0.000 0.000 3.201
O 0.000 0.000 6.162
O 1.410 1.410 1.481
O 1.410 1.410 7.882

No. 2
11
Lattice="-3.126 3.126 3.126 3.126 -3.126 3.126 3.126 3.126 -3.126" Properties=species:S:1:pos:R:3 comment="PBE Cd3H4O4, relaxed" final_energy_ev_per_atom=-3.9316 total_magnetization_mub_per_fu=0.00 pbc="T T T"
Cd 3.126 0.000 0.000
Cd 0.000 3.126 0.000
Cd 0.000 0.000 3.126
H 1.373 1.373 -1.373
H 1.373 -1.373 1.373
H -1.373 1.373 1.373
H 1.753 1.753 1.753
O 1.940 1.940 -1.940
O 1.940 -1.940 1.940
O 1.186 1.186 1.186
O -1.940 1.940 1.940

No. 3
14
Lattice="8.667 0.000 0.000 0.000 8.667 0.000 0.000 0.000 4.197" Properties=species:S:1:pos:R:3 comment="PBE CdH4O2, relaxed" final_energy_ev_per_atom=-4.1100 total_magnetization_mub_per_fu=0.00 pbc="T T T"
Cd 0.000 0.000 0.000
Cd 4.334 4.334 2.099
H 1.462 2.537 0.000
H 1.797 5.795 2.099
H 2.537 1.462 0.000
H 2.872 6.870 2.099
H 5.795 1.797 2.099
H 6.130 7.205 0.000
H 6.870 2.872 2.099
H 7.205 6.130 0.000
O 1.901 6.767 2.099
O 2.433 2.433 0.000
O 6.234 6.234 0.000
O 6.767 1.901 2.099

No. 4
8
Lattice="0.000 3.322 3.322 3.322 0.000 3.322 3.322 3.322 0.000" Properties=species:S:1:pos:R:3 comment="PBE CdH2O, relaxed" final_energy_ev_per_atom=-3.1715 e_above_lowest_polymorph_ev_per_atom=0.000 total_magnetization_mub_per_fu=0.00 pbc="T T T"
Cd 0.831 0.831 0.831
Cd 5.814 5.814 5.814
H 3.322 1.661 1.661
H 1.661 3.322 1.661
H 1.661 1.661 3.322
H 3.322 3.322 3.322
O 2.492 2.492 2.492
O 4.153 4.153 4.153

No. 5
16
Lattice="4.152 0.000 0.000 0.000 4.152 0.000 0.000 0.000 9.160" Properties=species:S:1:pos:R:3 comment="PBE CdHO2, relaxed" final_energy_ev_per_atom=-3.5964 e_above_lowest_polymorph_ev_per_atom=0.635 total_magnetization_mub_per_fu=0.00 pbc="T T T"
Cd 0.000 0.000 0.000
Cd 0.000 2.076 2.290
Cd 2.076 0.000 6.870
Cd 2.076 2.076 4.580
H 0.000 0.000 4.580
H 0.000 2.076 6.870
H 2.076 0.000 2.290
H 2.076 2.076 0.000
O 0.404 1.038 5.725
O 1.038 2.480 8.015
O 1.038 3.748 3.435
O 1.672 1.038 1.145
O 2.480 3.114 1.145
O 3.114 0.404 3.435
O 3.114 1.672 8.015
O 3.748 3.114 5.725

No. 6
12
Lattice="4.364 0.000 0.000 0.000 10.094 0.000 0.000 0.000 3.627" Properties=species:S:1:pos:R:3 comment="PBE CdHO, relaxed" final_energy_ev_per_atom=-3.8547 e_above_lowest_polymorph_ev_per_atom=0.057 total_magnetization_mub_per_fu=0.00 pbc="T T T"
Cd 0.000 1.145 0.000
Cd 0.000 8.949 1.814
Cd 2.182 3.902 1.814
Cd 2.182 6.191 0.000
H 0.000 3.812 0.223
H 0.000 6.281 2.037
H 2.182 1.235 2.037
H 2.182 8.859 0.223
O 0.000 3.207 0.993
O 0.000 6.887 2.806
O 2.182 1.840 2.806
O 2.182 8.254 0.993

Number 1: N(E_F) 0.009 states/eV/atom, theoretical density 6.53 Mg/m³. Number 2: N(E_F) 0.221 states/eV/atom, theoretical density 5.51 Mg/m³. Number 3: N(E_F) 0.000 states/eV/atom, theoretical density 1.56 Mg/m³. Number 4: N(E_F) 0.210 states/eV/atom, theoretical density 5.91 Mg/m³. Number 5: N(E_F) 0.352 states/eV/atom, theoretical density 6.12 Mg/m³. Number 6: N(E_F) 0.126 states/eV/atom, theoretical density 5.38 Mg/m³.

=====

# RbUWO6

A relaxed structure of RbUWO6 (PBE+U, the Alexandria database).

Cell lengths 7.517, 7.834, 7.705 Å; angles 120.56, 119.20, 90.00 degrees
Site moments in Bohr magnetons follow the coordinates.
Positions (direct):
O: 0.167 0.944 0.742  -0.02
O: 0.574 0.298 0.742  -0.02
O: 0.576 0.326 0.152  -0.04
O: 0.833 0.056 0.258  -0.02
O: 0.426 0.056 0.258  -0.02
Rb: 0.125 0.375 0.249  0.00
O: 0.167 0.298 0.742  -0.02
O: 0.833 0.702 0.258  -0.02
O: 0.424 0.674 0.848  -0.04
U: 0.500 0.500 0.000  1.01
W: 0.500 0.000 0.500  0.06
O: 0.426 0.702 0.258  -0.02
U: 0.500 0.000 0.000  1.01
O: 0.202 0.952 0.404  -0.01
Rb: 0.875 0.625 0.751  0.00